_Assignment_
Could you say how many lines of the lines below hold the word "written", as a bare number?

_Given_
Model P:
VASP calculation (PBE-GGA) on a relaxed structure of MgSc2Se4.

Cell and atoms, written as extended XYZ:
```
28
Lattice="8.1695 0.0000 0.0000 0.0000 7.7183 0.0000 0.0000 0.0000 11.3196" Properties=species:S:1:pos:R:3 pbc="T T T"
Mg 1.3993 1.9296 1.1617
Mg 2.6855 5.7887 6.8215
Mg 5.4840 1.9296 4.4981
Mg 6.7702 5.7887 10.1579
Sc 0.0060 5.7887 2.3362
Sc 0.5104 1.9296 5.5441
Sc 3.5743 5.7887 11.2039
Sc 4.0787 1.9296 7.9960
Sc 4.0908 5.7887 3.3236
Sc 4.5951 1.9296 0.1157
Sc 7.6591 5.7887 5.7755
Sc 8.1634 1.9296 8.9833
Se 0.8015 4.0420 7.4537
Se 0.8015 7.5354 7.4537
Se 0.9386 5.7887 11.1967
Se 1.7511 5.7887 4.3273
Se 2.3337 1.9296 9.9871
Se 3.1461 1.9296 5.5369
Se 3.2832 0.1828 1.7939
Se 3.2832 3.6763 1.7939
Se 4.8863 4.0420 9.5257
Se 4.8863 7.5354 9.5257
Se 5.0233 5.7887 5.7827
Se 5.8358 5.7887 1.3324
Se 6.4184 1.9296 6.9922
Se 7.2309 1.9296 0.1229
Se 7.3679 0.1828 3.8659
Se 7.3679 3.6763 3.8659
```

## Properties
Total moment ... 0.00 μB/f.u.
Crystal system ... orthorhombic

Model Q:
VASP calculation (PBE-GGA) on a relaxed structure of MgSc2Se4.

Cell and atoms, written as extended XYZ:
```
14
Lattice="-4.1983 4.1983 4.2933 4.1983 -4.1983 4.2933 4.1983 4.1983 -4.2933" Properties=species:S:1:pos:R:3 pbc="T T T"
Mg 0.0000 0.0000 0.0000
Mg 0.0000 4.1983 2.1466
Sc 2.0991 -1.1130 3.2199
Sc 3.0853 2.0991 1.0733
Sc 2.0991 5.3113 -1.0733
Sc 1.1130 2.0991 5.3666
Se 2.5460 -0.5069 0.6289
Se 3.6914 2.5460 -1.5178
Se 5.8506 0.5069 0.6289
Se 4.7052 -1.6523 3.6644
Se 0.5069 1.6523 2.7755
Se 1.6523 -0.5069 5.8110
Se 3.6914 1.6523 3.6644
Se 2.5460 4.7052 1.5178
```

## Properties
Total moment ... 0.00 μB/f.u.
Crystal system ... tetragonal

Short version: model Q is the most stable of them.

Model P:
VASP calculation (PBE-GGA) on a relaxed structure of MgSc2Se4.

Cell and atoms, written as extended XYZ:
```
28
Lattice="13.4804 0.0000 0.0000 0.0000 7.8333 0.0000 0.0000 0.0000 6.6195" Properties=species:S:1:pos:R:3 pbc="T T T"
Mg 1.2525 1.9583 0.5576
Mg 5.4877 5.8749 3.8674
Mg 7.9927 1.9583 2.7522
Mg 12.2279 5.8749 6.0619
Sc 0.0000 0.0000 3.3098
Sc 0.0000 3.9166 3.3098
Sc 3.2185 5.8749 6.5610
Sc 3.5217 1.9583 3.2512
Sc 6.7402 0.0000 0.0000
Sc 6.7402 3.9166 0.0000
Sc 9.9588 5.8749 3.3683
Sc 10.2619 1.9583 0.0585
Se 1.0671 5.8749 4.9174
Se 1.2089 1.9583 4.6544
Se 2.3035 3.9575 1.7870
Se 2.3035 7.7923 1.7870
Se 4.4367 0.0409 5.0968
Se 4.4367 3.8757 5.0968
Se 5.5313 5.8749 1.3447
Se 5.6731 1.9583 1.6076
Se 7.8073 5.8749 5.0119
Se 7.9491 1.9583 5.2749
Se 9.0437 3.9575 1.5228
Se 9.0437 7.7923 1.5228
Se 11.1769 0.0409 4.8325
Se 11.1769 3.8757 4.8325
Se 12.2715 5.8749 1.9651
Se 12.4133 1.9583 1.7021
```

## Properties
Total moment ... 0.00 μB/f.u.
Crystal system ... orthorhombic

Model Q:
VASP calculation (PBE-GGA) on a relaxed structure of MgSc2Se4.

Cell and atoms, written as extended XYZ:
```
56
Lattice="12.7378 0.0000 0.0000 0.0000 7.5687 0.0000 0.0000 0.0000 13.0825" Properties=species:S:1:pos:R:3 pbc="T T T"
Mg 1.3928 0.9097 0.0000
Mg 1.6009 4.7052 4.7615
Mg 4.7681 4.7052 11.3027
Mg 4.9761 0.9097 6.5412
Mg 7.7617 6.6590 0.0000
Mg 7.9698 2.8635 4.7615
Mg 11.1370 2.8635 11.3027
Mg 11.3450 6.6590 6.5412
Sc 1.3647 4.6860 13.0822
Sc 1.6362 0.9081 4.7147
Sc 1.6807 2.8061 9.1225
Sc 1.6923 6.5969 9.1521
Sc 4.6766 6.5969 2.6109
Sc 4.6882 2.8061 2.5813
Sc 4.7327 0.9081 11.2559
Sc 5.0042 4.6860 6.5410
Sc 7.7336 2.8827 13.0822
Sc 8.0051 6.6605 4.7147
Sc 8.0496 4.7625 9.1225
Sc 8.0613 0.9718 9.1521
Sc 11.0455 0.9718 2.6109
Sc 11.0571 4.7625 2.5813
Sc 11.1017 6.6605 11.2559
Sc 11.3731 2.8827 6.5410
Se 0.2086 4.7574 10.6199
Se 0.2327 0.9145 10.6478
Se 0.4863 4.7133 7.2589
Se 0.4983 0.9880 7.2603
Se 2.7564 0.9174 2.2805
Se 2.7483 4.6952 2.3013
Se 2.9186 2.8136 11.8503
Se 2.9425 6.5807 11.8724
Se 3.4264 6.5807 5.3312
Se 3.4503 2.8136 5.3091
Se 3.6125 0.9174 8.8217
Se 3.6206 4.6952 8.8426
Se 5.8706 0.9880 0.7191
Se 5.8826 4.7133 0.7176
Se 6.1363 0.9145 4.1066
Se 6.1604 4.7574 4.0786
Se 6.5775 2.8113 10.6199
Se 6.6016 6.6542 10.6478
Se 6.8552 2.8553 7.2589

_Here it is_
4